The reader should restate only the last part of the lines below, starting with the line that has "4.772, 4.772,".
Entry 1:
# ZrTaNb2

An optimized crystal structure of ZrTaNb2 (PBE, the Alexandria database).

Cell lengths 4.772, 4.772, 4.772 Å; angles 60.00, 60.00, 60.00 degrees
Fractional coordinates of all 4 atoms:
Nb (0.750, 0.750, 0.750)
Nb (0.250, 0.250, 0.250)
Ta (0.500, 0.500, 0.500)
Zr (0.000, 0.000, 0.000)

- DOS at the Fermi energy: 8.32 states/eV/cell
- E above lowest polymorph: 18.5 meV/atom
- Calculated volume: 76.8 Å³ per cell
- Total magnetization: 0.000 μB/f.u.



Entry 2:
# LaEr5Mg6

An optimized crystal structure of LaEr5Mg6 (PBE, the Alexandria database).

Cell lengths 5.365, 7.592, 8.490 Å; angles 90.00, 71.58, 90.00 degrees
Fractional coordinates of all 12 atoms:
Mg (0.169, 0.256, 0.661)
Mg (0.831, 0.744, 0.339)
Mg (0.500, 0.255, 0.000)
Mg (0.830, 0.256, 0.339)
Mg (0.170, 0.744, 0.661)
Mg (0.500, 0.745, 0.000)
La (0.000, 0.000, 0.000)
Er (0.664, 0.500, 0.672)
Er (0.336, 0.500, 0.328)
Er (0.331, 0.000, 0.337)
Er (0.669, 0.000, 0.663)
Er (0.000, 0.500, 0.000)

- DOS at the Fermi energy: 15.13 states/eV/cell
- Calculated total energy: -38.17 eV/cell
- Calculated volume: 328.1 Å³ per cell
- Total magnetization: 0.000 μB/f.u.
Cell lengths 4.772, 4.772, 4.772 Å; angles 60.00, 60.00, 60.00 degrees
Fractional coordinates of all 4 atoms:
Nb (0.750, 0.750, 0.750)
Nb (0.250, 0.250, 0.250)
Ta (0.500, 0.500, 0.500)
Zr (0.000, 0.000, 0.000)

- DOS at the Fermi energy: 8.32 states/eV/cell
- E above lowest polymorph: 18.5 meV/atom
- Calculated volume: 76.8 Å³ per cell
- Total magnetization: 0.000 μB/f.u.



Entry 2:
# LaEr5Mg6

An optimized crystal structure of LaEr5Mg6 (PBE, the Alexandria database).

Cell lengths 5.365, 7.592, 8.490 Å; angles 90.00, 71.58, 90.00 degrees
Fractional coordinates of all 12 atoms:
Mg (0.169, 0.256, 0.661)
Mg (0.831, 0.744, 0.339)
Mg (0.500, 0.255, 0.000)
Mg (0.830, 0.256, 0.339)
Mg (0.170, 0.744, 0.661)
Mg (0.500, 0.745, 0.000)
La (0.000, 0.000, 0.000)
Er (0.664, 0.500, 0.672)
Er (0.336, 0.500, 0.328)
Er (0.331, 0.000, 0.337)
Er (0.669, 0.000, 0.663)
Er (0.000, 0.500, 0.000)

- DOS at the Fermi energy: 15.13 states/eV/cell
- Calculated total energy: -38.17 eV/cell
- Calculated volume: 328.1 Å³ per cell
- Total magnetization: 0.000 μB/f.u.